In this article, we’ll give you our take on some subtle, science-based tricks that will make you think twice the next time you’re selling or being sold to.
Is there really a science behind every move we make as consumers when we’re making a purchase? Have salespeople got their tactics so perfected that they can manipulate their customers into signing on the dotted line?
That’s what a recent article from the BBC states anyway. The simplest facets within our cognitive makeup as consumers can be bent, melded, and twisted into making purchase decisions with a few simple tips and tricks.
Some salespeople may brush these off and say that a good salesperson is a good salesperson with no need for mind games. But it does make you wonder if selling can really be made easier with a basic understanding of human psychology. Read on, and we’ll give you our take on these subtle tricks that might make you think twice the next time you’re selling or being sold to.
1. Make false comparisons
This was the first point the BBC made that establishing a base rate of comparison was the key to making sales. They use the example of an expensive and a cheaper coffee machine sitting side by side in a store. Were the salesperson to tell the buyer that the cheaper option was just as good as the pricier model, the potential customer would supposedly be more likely to think that they were getting a good deal.
I can see where this point is coming from, but I’m sure the majority of us do at least some research before we purchase a high-ticket item. And what’s to say that both coffee machines aren’t overpriced in the first place so the salesperson has a bit of wiggle room with prices?
### Here the piece breaks off for crystal structures
- - -
# 1
# Th3Cu2Ni7
Simulated powder diffractogram, CuKα. Input: a crystal structure in Alexandria, relaxed with GGA-PBE.

Cell and atoms:
Unit cell a=5.0727 b=5.0727 c=25.0595 alpha=90.00 beta=90.00 gamma=120.00
Space group R-3m (No. 166, hexagonal axes)
Unique sites:
Th: 0.0000 0.0000 0.0000 (multiplicity 3)
Th: 0.0000 0.0000 0.1375 (multiplicity 6)
Cu: 0.0000 0.0000 0.3325 (multiplicity 6)
Ni: 0.0000 0.0000 0.5000 (multiplicity 3)
Ni: 0.0020 0.5010 0.0820 (multiplicity 18)

Peak list (6 most intense, 15 to 90 degrees two-theta, by angle)
(hkl), 2theta, I_rel
1 0 1, 20.53, 31.2
1 0 7, 32.26, 65.2
0 1 8, 35.19, 52.2
1 1 0, 35.39, 68.0
0 2 1, 41.26, 41.9
1 1 6, 41.67, 100.0

***

# 2
# Tb12Zn6Ru
Simulated powder diffractogram, CuKα. Input: a crystal structure in Alexandria, relaxed with GGA-PBE.

Cell and atoms:
Unit cell a=11.6648 b=11.6648 c=13.0817 alpha=90.00 beta=90.00 gamma=120.00
Space group R-3 (No. 148, hexagonal axes)
Unique sites:
Tb: 0.0330 0.1927 0.3721 (multiplicity 18)
Tb: 0.0398 0.8453 0.8925 (multiplicity 18)
Zn: 0.0024 0.6017 0.7601 (multiplicity 18)
Ru: 0.0000 0.0000 0.5000 (multiplicity 3)

Peak list (6 most intense, 15 to 90 degrees two-theta, by angle)
(hkl), 2theta, I_rel
2 1 1, 24.28, 34.3
1 0 4, 28.69, 59.4
1 3 1, 32.68, 100.0
3 1 2, 34.84, 40.3
3 -1 4, 36.16, 43.0
2 2 3, 37.09, 84.3

***

# 3
# Ca2Ag2RuO6
Simulated powder diffractogram, CuKα. Input: a crystal structure in Alexandria, relaxed with GGA-PBE.

Cell and atoms:
Unit cell a=5.894 b=9.580 c=6.235 alpha=90.00 beta=116.45 gamma=90.00
Space group C2/m (No. 12)
Unique sites:
Ca: 0.000 0.162 0.000 (multiplicity 4)
Ag: 0.000 0.308 0.500 (multiplicity 4)
Ru: 0.000 0.500 0.000 (multiplicity 2)
O: 0.171 0.500 0.788 (multiplicity 4)
O: 0.236 0.352 0.191 (multiplicity 8)

Peak list (6 most intense, 15 to 90 degrees two-theta, by angle)
(hkl), 2theta, I_rel
1 1 0, 19.20, 76.2
0 2 1, 24.49, 91.2
0 0 2, 32.07, 46.1
1 3 -1, 33.01, 69.9
2 0 -2, 34.87, 74.0
1 3 1, 39.94, 100.0

***

# 4
# ErThCS
Simulated powder diffractogram, CuKα. Input: a crystal structure in Alexandria, relaxed with GGA-PBE.

Cell and atoms:
Unit cell a=3.7748 b=3.7748 c=19.4178 alpha=90.00 beta=90.00 gamma=120.00
Space group R3m (No. 160, hexagonal axes)
Unique sites:
Er: 0.0000 0.0000 0.0000 (multiplicity 3)
Th: 0.0000 0.0000 0.5246 (multiplicity 3)
C: 0.0000 0.0000 0.2622 (multiplicity 3)
S: 0.0000 0.0000 0.7563 (multiplicity 3)

Peak list (6 most intense, 15 to 90 degrees two-theta, by angle)
(hkl), 2theta, I_rel
0 0 6, 27.56, 28.5
0 1 2, 28.82, 94.7
1 0 4, 33.03, 100.0
0 1 8, 46.61, 28.8
1 1 0, 48.22, 37.8
1 1 6, 56.44, 26.1

***

# 5
# Sc7C5
Simulated powder diffractogram, CuKα. Input: a crystal structure in Alexandria, relaxed with GGA-PBE.

Cell and atoms:
Unit cell a=10.929 b=3.323 c=9.834 alpha=90.00 beta=106.06 gamma=90.00
Space group C2/m (No. 12)
Unique sites:
Sc: 0.000 0.000 0.000 (multiplicity 2)
Sc: 0.046 0.500 0.286 (multiplicity 4)
Sc: 0.152 0.000 0.554 (multiplicity 4)
- - -
I don’t agree that shoppers aren’t aware of the intrinsic value of products. The real value of any product comes after we’ve taken it home and got it out of the box. If you use the coffee machine every day instead of nipping to Starbucks on your way to work, then you’ll get far more value out of it than someone who will leave it on their kitchen side to gather dust. Value just isn’t that black and white.
Top tip: We can take something from this idea, though. Simply take the time to understand how your prospective buyer will use your product and position your pitch around that, demonstrating how your product will add value to their current situation.
2. Emphasize social similarities
Now this point makes more sense. Here, the article emphasizes that we’re “more likely to buy from people who we trust and like.” It’s quite fascinating to read that we’re apparently nearly twice as likely to part with our cash if someone shares the same name or even birthday as us!
Of course, it’s an icebreaker; it eases some tension when you engage in discussions with your buyer. This icebreaker can often be the difference between closing and losing a deal; your prospect should feel at ease with you. Not only will this allow them to feel comfortable when asking questions or even for a discount, but it should also help you to better understand your buyers and what makes them tick.
Top tip: If you share a similar social profile to your buyer, use this to your advantage. Talk about last night’s episode of Game of Thrones or your favorite hobbies to break the ice and become a trusted advisor rather than a salesperson. Or, if you were once struggling with the same problems they are, talk about the concerns you used to have and how your offering relieved them.
3. Create an illusion of demand
Another one that makes perfect sense is why we all rush out for the Boxing Day/Black Friday/Cyber Monday sales and convince ourselves we’ll miss out if we don’t buy right now. As the BBC article goes on to explain, simply changing a call to action on an advert from “Operators are waiting, call now!” to “If operators are busy, please call again” led to a marked increase in call volume.
US marketing lot has cottoned onto most consumers’ need for instant gratification. If we think we’ll miss out, often we’ll buy or act there and then. “50% off – ends today”, “last day to get X free with your purchase,” or even a “one-time offer” can be enough for us as consumers to part with our money.
Top tip: Get your marketing team on the case to create a targeted offer for your customers. Whether you offer them a freebie, special discount or BOGOF deal, put a time limit on it. Incentivize your customers to act fast.
4. Spread benefits, bundle costs
This one quite surprised me. I would have thought that bundling benefits and spreading the cost would be more buyer-friendly. However, it appears that spreading the “gains” over a period of time is best and that, as consumers, we “prefer to experience our losses all at once,” according to the BBC article.
It does make sense; think about when you’re buying a new car and the salesperson offers you mats for an extra £100/$150. you’re already spending thousands, so what difference will a bit more money make?
Top tip: If you’re already on course to make a sale with your buyer, can you bundle anything else into the deal to make it a bit more valuable? Think about added extras, complementary products, and free training, and be sure to explain the end benefit to your buyer; don’t force it on them.
5. Induce a feeling of obligation
This one is quite an interesting one. The fact that if we, as consumers, receive a favor from someone, we feel obliged to reciprocate. We’re, for the most part, polite individuals, and if someone goes out of their way to help us, we feel a need to give something back. Research has shown that there is a social phenomenon called the “norm of reciprocity” that encourages this obligation to return a favour.
I can vouch for this. Big time. I’m a sucker for salespeople offering a freebie with a routine purchase or “let me see what we can do on that price for you”…I feel like they’ve made an exception for me as a loyal customer. A clear example is the last time I trotted up to a department store beauty counter. I’m there to buy one thing, but the salesperson’s offer of a free makeover or a new product sample is enough for me to open my purse and empty the contents. 9 times out of 10, if they give me something for free, I’ll buy something else – my “Can I also get X?” has cost me dearly many, many times.
Unbeknown to me, they probably do that for every customer. It’s one of those things though, if someone puts themselves out, we feel a need to give something back, usually in the form of money. In a sales environment, someone going out of his or her way to get a better price, to put together a better deal or even throw in a freebie or two is often encouragement enough to sign on the dotted line.
Top tip: Don’t be afraid to go the extra mile for your buyers. If you’re sure that there is a probable sale there, do your utmost to close them. Offer them a discount, an affordable payment plan or even a freebie.
Not only will it encourage them to buy, they’ll also appreciate the gesture and will be likely to recommend your company to their friends for the good treatment.
6. Think emotional triggers
Emotions play a huge part when we are buying so it’s not surprising that research has found that we’re likely to spend more money when emotions are involved. Apparently, we can spend up to 30% more after we’ve seen something that pulls on our emotions.
Any good salesperson will be able to effectively use emotional triggers to sell. When in a B2B sales situation, raise current business issues that may be causing your buyer some turmoil. Are they wasting time writing reports? Or are they still using paper and pen invoicing systems? Identify the business issues that really cause your buyer a lot of stress and show them how your product will help.
Top tip: Take the time to research your customer, their needs and the challenges within their industry. With this knowledge, you can tailor your sales process around these problems, and design a pitch to tug on their emotions and encourage a sale.
-- begin --
Calculated X-ray powder pattern of Mg6FeBO8 for Cu Kα, 1.54184 Å, from a DFT-relaxed cell (PBE+U, Alexandria).

The 10 most intense peaks (10° ≤ 2θ ≤ 90°), most intense first:
hkl 2 0 0, 2θ 41.9, I = 100.0
hkl 2 0 4, 2θ 61.5, I = 39.9
hkl 0 0 4, 2θ 42.9, I = 33.6
hkl 2 2 0, 2θ 60.7, I = 28.1
hkl 1 1 2, 2θ 36.3, I = 27.2
hkl 2 2 4, 2θ 77.2, I = 18.6
hkl 1 0 3, 2θ 38.2, I = 15.3
hkl 0 0 3, 2θ 31.8, I = 10.8
hkl 3 1 2, 2θ 72.9, I = 9.8
hkl 1 0 1, 2θ 23.2, I = 8.6

```
16
Lattice="4.314 0.000 0.000 0.000 4.314 0.000 0.000 0.000 8.441" Properties=species:S:1:pos:R:3 pbc="T T T"
Mg 0.000 0.000 0.000
Mg 0.000 0.000 4.221
Mg 0.000 2.157 2.004
Mg 0.000 2.157 6.438
Mg 2.157 0.000 2.004
Mg 2.157 0.000 6.438
Fe 2.157 2.157 4.221
B 2.157 2.157 0.000
O 0.000 0.000 2.110
O 0.000 0.000 6.331
O 0.000 2.157 0.000
O 0.000 2.157 4.221
O 2.157 0.000 0.000
O 2.157 0.000 4.221
O 2.157 2.157 1.413
O 2.157 2.157 7.028
```

* * * * *

Diffraction record for NbI3Br2. The powder XRD pattern is theoretical, not measured: it uses a PBE-relaxed structure and λ = 1.5418 Å (Cu Kα).

Cell and atoms:
```
data_NbI3Br2
_chemical_formula_sum 'Nb2 I6 Br4'
_space_group_name_H-M_alt 'P 1'
_space_group_IT_number 1
_cell_length_a 7.232
_cell_length_b 7.773
_cell_length_c 10.323
_cell_angle_alpha 110.18
_cell_angle_beta 91.09
_cell_angle_gamma 117.59
loop_
_space_group_symop_operation_xyz
'x,y,z'
loop_
_atom_site_label
_atom_site_type_symbol
_atom_site_fract_x
_atom_site_fract_y
_atom_site_fract_z
Nb1 Nb 0.110 0.219 0.217
Nb2 Nb 0.890 0.781 0.783
I1 I 0.075 0.820 0.566
I2 I 0.121 0.619 0.852
I3 I 0.313 0.012 0.249
I4 I 0.687 0.988 0.751
I5 I 0.879 0.381 0.148
I6 I 0.925 0.180 0.434
Br1 Br 0.221 0.173 0.961
Br2 Br 0.436 0.566 0.323
Br3 Br 0.564 0.434 0.677
Br4 Br 0.779 0.827 0.039
```

Principal peaks in the range 2θ = 15–90°, by angle:
27.0 deg, intensity 56, (0 2 -2); 28.0 deg, intensity 35, (2 0 -1); 28.2 deg, intensity 72, (2 -2 1); 28.8 deg, intensity 73, (1 0 -3); 29.0 deg, intensity 38, (-1 2 1); 29.3 deg, intensity 100, (1 1 1); 37.0 deg, intensity 25, (2 -3 2); 37.8 deg, intensity 30, (1 2 0); 43.7 deg, intensity 27, (-3 2 2); 49.1 deg, intensity 43, (1 -3 5)



Diffraction record for Gd3GaFeSe7. The powder XRD pattern is theoretical, not measured: it uses a PBE-relaxed structure and λ = 1.5418 Å (Cu Kα).

Cell and atoms:
```
data_Gd3GaFeSe7
_chemical_formula_sum 'Gd6 Ga2 Fe2 Se14'
_space_group_name_H-M_alt 'P 1'
_space_group_IT_number 1
_cell_length_a 10.109
_cell_length_b 6.486
_cell_length_c 10.132
_cell_angle_alpha 90.00
_cell_angle_beta 119.80
_cell_angle_gamma 90.00
loop_
_space_group_symop_operation_xyz
'x,y,z'
loop_
_atom_site_label
_atom_site_type_symbol
_atom_site_fract_x
_atom_site_fract_y
_atom_site_fract_z
Gd1 Gd 0.125 0.000 0.342
Gd2 Gd 0.281 0.498 0.122
Gd3 Gd 0.343 0.500 0.717
Gd4 Gd 0.657 0.000 0.283
Gd5 Gd 0.719 0.998 0.878
Gd6 Gd 0.875 0.500 0.658
Ga1 Ga 0.167 0.920 0.833
Ga2 Ga 0.833 0.420 0.167
Fe1 Fe 0.497 0.823 0.494
Fe2 Fe 0.503 0.323 0.506
-- stop --
End of the materials data >
Do you think that every salesperson needs to use a few mind games to get that elusive ‘Yes’ from their customer? Or is a good salesperson a good salesperson with no need for mind games? We’d love to hear your thoughts in the comments section below.